What I’ve learned

Here’s what I’ve learned, in a nutshell, condensed down to the pithiest summation I can muster:

Running for public office is a pain. It’s time-consuming, expensive, and downright scary. Also, everyone should do it at least once.

Who’s next?

There are a thousand reasons not to run. I recognize the immense privilege which even allowed me to consider a run in the first place.

But I do think anyone with half a brain and half a heart, as well the capacity and opportunity, should consider running for public office.

Seriously, think of the benefits to society if everyone ran for office at least once. It would generate more interest and engagement in the democratic process, and we might even get some good candidates elected occasionally.

So who’s next? Is it you? One piece of advice: start early. It’s not a bad idea to start getting your campaign organized a full year before the qualifying period.

Taking stock

Let’s review by the numbers.

  • 17 weeks — The campaign was only supposed to last for twelve weeks, remember? The election was postponed five weeks because of Hurricane Ida. It was the right thing for Louisiana, but it certainly taxed my endurance.
  • 4 candidates — I chose the New Orleans City Council At-Large (Division 2) because it appeared to be guaranteed the most media coverage. It was an open seat with some high-profile contenders. This calculation proved correct, as far as it goes: the race did get more attention in the media. Frustratingly but predictably, my campaign was often ignored in favor of the establishment candidates. When Jared Brossett was arrested for DUI, subsequently suspending his campaign, it generated far more coverage than I ever got.
  • 6 team members — This was not a solo project. I had help from a team of volunteers, including some folks from the Green Party of Louisiana. There were many impediments, including that hurricane previously mentioned. At certain times, it felt like I was laboring alone. But I never was. Special recognition goes to Marion “Penny” Freistadt who served as my campaign coordinator while also attending graduate school.
  • 19 questionnaires — I filled out every candidate survey that came my way. Some of them were quite lengthy. The DSA survey alone had 88 questions! I struggled to keep up. Fortunately I had considerable help from my campaign team in composing responses.
  • 13 forums — I attended every candidate forum to which I was invited. I don’t think I missed one. Many folks bemoaned the pandemic and the restrictions on public gathering, but in truth this made things much easier for me. It’s easier to hop on a Zoom meeting than to go across town, though I had to remind my family to keep the noise down. There were also a number of interviews where PACs and other organizations.
  • 1 endorsement — From the outset, we made the decision not to pursue endorsements aggressively. Nevertheless I was honored to receive the endorsement of the Green Party of Louisiana. I thought I might also receive the stamp of approval from Sunrise Movement, since they are a climate-focused group and I ran a climate-focused campaign, but for whatever reason that didn’t happen. Antigravity magazine and the local chapter of the DSA didn’t endorse me per se but their glowing writeups came close.
  • 1 grant — I was one of a handful of candidate to receive a small grant from the national Green Party of the United States.
  • 2 televised appearances — This was disappointing. I expected to be on TV more. This is how a lot of people get their news, after all. There was a package on Fox 8 and the Hot Seat debate on WDSU. That was it. The most high-profile race of the season, and it’s only covered on TV twice? Fortunately I was able to mention the need for action on climate both times.
  • 1 radio interview — My one invitation to talk on the radio came from Jeff Crouere, host of Ringside Politics in WGSO. I jumped at the chance, though I was uncertain what kind of reception I’d get. The program skews some pretty far to the right and airs some highly questionable conspiracy theories. Nevertheless, Jeff was cordial, even friendly, and a caller immediately after said I was exactly the kind of candidate we need, if only I didn’t talk about climate so much. Sigh.
  • 1 newspaper interview — I guess this comes as no surprise. We only have one daily paper, and goddess knows how journalism has been gutted in recent years. I had a great conversation with Jessica Williams. Unfortunately very little of that interview made it into print. And the paper kept referring to me as a “Xavier administrator.” For the record, I’m just a humble staffer.
  • 5 podcast interviews — Yes, that’s right, five! Only one was local, though.
  • 0 signs, push cards, flyers, and mailers — We made a decision early on to forego all printed materials. It makes sense, as an environmental candidate. It’s also a cost-saving measure. When I explained our rationale, people responded favorably, and so this also became a minor talking point.
  • 3 print ads — We did have a couple print ads designed, however, and we ran these three times locally: once in the Gambit and twice in the Data News Weekly. I learned that print ads are expensive. This wiped out most of our budget.
  • 26 radio ads — The bulk of our remaining funds went to a 30-second campaign ad, which ran 26 times on local radio stations: ten times on WGSO, and sixteen times on WBOK.
  • 2 bicycle accidents — I wiped out on the way to the big Gambit debate, at a busy intersection where the traffic signals have been out of commission since Hurricane Ida. A month later, I’m still healing. Penny, my trusty campaign coordinator, was actually hit by a car! We are both lucky we weren’t seriously injured. Statistically speaking, this was a weird anomaly. I haven’t wiped out like that in 21 years of bike commuting. Nevertheless it highlights the importance of bike safety and how we need to do better by our bicycle riders and pedestrians, a key point of my campaign.
  • 3,241 dollars raised and spent — That number is a rough estimate. I have to go over everything with a fine-tooth comb and file a campaign finance report. The contributions came in mostly small amounts from 43 individuals plus the aforementioned grant. I’m honored and amazed that people believed in this campaign enough to support it financially. Thank you!
  • 2 predicted percentage points — I only saw one advance poll on this election. They had me at 2%.
  • 7 actual percentage points — I actually got 6.5% of the vote, but the Secretary of State rounds up. To be fair to the pollsters, the margin of error was +/- 6%, so they weren’t wrong.
  • 4,776 votes received — I was expecting 1,500 votes, so I was very pleased with this result. JP got eight times as many votes as me, but I’m sure he spent well over a hundred times my total budget. A more incisive analysis will be possible once all the campaign finance reports are filed.

Here’s a graphical breakdown of the vote from the Secretary of State.

Bonus: this interactive map lets you zoom around and examine results precinct by precinct.

The only victory that matters

I’d like to return now to the definition of victory I offered at the beginning of this campaign.

If my campaign can raise climate action to the top of the public agenda for the city of New Orleans, I will consider that a success. If my campaign can help to mobilize the community for climate justice, I will consider that a victory.

On election night, both of the front-runners were on TV talking about my campaign and the voter desire for climate action. JP has said he’s looking forward to working with me on this. For my part, I will aim to provide a little more connectivity between our local government and the various activist networks in which I participate.

We can’t say “mission accomplished.” I don’t think I’ll ever see that day in my lifetime. Indeed, a lot of very smart folks say there’s precious little chance for humanity and our so-called “civilization” to avoid very dire outcomes in the very near future. Climate change is only the biggest challenge of many interconnected crises.

Records of crystals that have nothing to do with the entry =
- - -
VASP calculation (SCAN) on a crystal of BeTlAs2 relaxed with PBEsol.

The crystal system is orthorhombic. As for the energy of formation from the pure elements: 385.1 meV/atom.

a = 2.857 Å, b = 5.576 Å, c = 5.809 Å
α = 118.68°, β = 104.24°, γ = 90.00°
Fractional coordinates of all 4 atoms:
Be: 0.500 0.000 0.000
Tl: 0.000 0.500 0.000
As: 0.809 0.809 0.618
As: 0.191 0.191 0.382

=====

No. 1
Entry from Alexandria via LeMat-Bulk: an optimized crystal structure of TaTePdI2 (PBE).

Cell: 5.2361 5.2361 5.3368 Å, 90.00 90.00 90.00°
With the nearest neighbours (Å) after each atom.
Positions (direct):
I: 0.0000 0.5000 0.0000  2 Pd 2.62
I: 0.5000 0.0000 0.0000  2 Pd 2.62
Ta: 0.5000 0.5000 0.5000  4 Te 3.70, 8 I 3.74
Pd: 0.0000 0.0000 0.0000  4 I 2.62, 2 Te 2.67
Te: 0.0000 0.0000 0.5000  2 Pd 2.67

crystal system: tetragonal
offset from the most stable computed form: 531.0 meV/atom
E_form (uncorrected): 5.54 eV per formula unit
symmetry: P4/mmm, No. 123



No. 2
Entry from Alexandria via LeMat-Bulk: an optimized crystal structure of Rb2Pm2SbO6 (PBE).

Cell: 6.0966 6.0966 6.9876 Å, 97.74 97.74 119.68°
With the nearest neighbours (Å) after each atom.
Positions (direct):
Rb: 0.8369 0.1631 0.0000  6 O 2.93-3.16
O: 0.7491 0.7491 0.6682  1 Sb 2.17, 2 Pm 2.40
O: 0.2509 0.2509 0.3318  1 Sb 2.17, 2 Pm 2.40
O: 0.3626 0.0462 0.6663  1 Sb 2.22, 2 Pm 2.37-2.40
Rb: 0.1631 0.8369 0.0000  6 O 2.93-3.16
O: 0.9538 0.6374 0.3337  1 Sb 2.22, 2 Pm 2.37-2.40
O: 0.0462 0.3626 0.6663  1 Sb 2.22, 2 Pm 2.37-2.40
Pm: 0.6652 0.3348 0.5000  6 O 2.37-2.40
Pm: 0.3348 0.6652 0.5000  6 O 2.37-2.40
O: 0.6374 0.9538 0.3337  1 Sb 2.22, 2 Pm 2.37-2.40
Sb: 0.0000 0.0000 0.5000  6 O 2.17-2.22

crystal system: monoclinic
E_form (uncorrected): -24.43 eV per formula unit
symmetry: C2/m, No. 12



No. 3
Entry from Alexandria via LeMat-Bulk: an optimized crystal structure of MgCCl3 (PBE).

Cell: 4.4810 4.4810 4.4810 Å, 90.00 90.00 90.00°
With the nearest neighbours (Å) after each atom.
Positions (direct):
Cl: 0.0000 0.5000 0.0000  2 C 2.24
C: 0.0000 0.0000 0.0000  6 Cl 2.24
Cl: 0.5000 0.0000 0.0000  2 C 2.24
Mg: 0.5000 0.5000 0.5000  12 Cl 3.17
Cl: 0.0000 0.0000 0.5000  2 C 2.24

crystal system: cubic
offset from the most stable computed form: 0.0 meV/atom
E_form (uncorrected): 2.34 eV per formula unit
symmetry: Pm-3m, No. 221



No. 4
Entry from Alexandria via LeMat-Bulk: an optimized crystal structure of CsZr2Ni (PBE).

Cell: 6.1965 6.1965 8.8392 Å, 69.48 69.48 90.00°
With the nearest neighbours (Å) after each atom.
Positions (direct):
Cs: 0.7500 0.2500 0.5000  8 Zr 3.96, 4 Ni 4.38
Ni: 0.5000 0.5000 0.0000  4 Zr 2.47
Zr: 0.3747 0.1250 0.2500  2 Ni 2.47
Zr: 0.3750 0.6253 0.7500  2 Ni 2.47
Ni: 0.2500 0.7500 0.5000  4 Zr 2.47
Cs: 0.0000 0.0000 0.0000  8 Zr 3.96, 4 Ni 4.38
Zr: 0.3753 0.6250 0.2500  2 Ni 2.47
Zr: 0.8750 0.6247 0.7500  2 Ni 2.47

crystal system: tetragonal
offset from the most stable computed form: 90.5 meV/atom
energy relative to the elements: 1.0862 eV/atom
- - -

That doesn’t mean we sit idle on the sidelines. For me, at least, it means we must engage deeply and fully with the struggle for justice.

For now, though, I’m taking a breather as I plot my next move. I look forward to re-engaging with the Greater New Orleans Interfaith Climate Coalition and Citizens’ Climate Lobby, and of course the Gaian Way. I encourage you to get involved with them or any of the other numerous groups doing good work on restoring ecological sanity to western civilization, the crucial issue of our age.

Thank you for walking with me this far.